_Given_
____________
ORCA calculation (wB97M-V/def2-TZVPD) on a structure of composition C16H36F4InO12S3 in a non-equilibrium geometry.

Positions of all 72 atoms, in Å:
O  6.7256  3.3076  0.6498
C  6.3837  2.7735  -0.4126
O  7.2367  2.7499  -1.5541
C  4.9812  2.0297  -0.5367
C  4.1571  2.0803  0.8543
In  2.7581  3.8935  0.9602
C  3.7341  5.8158  0.2940
C  3.9551  5.7916  -1.2882
F  5.1533  6.4893  -1.6951
C  0.9529  3.2968  -0.3380
O  0.5674  1.9620  0.1193
C  -0.1874  1.2706  -0.8262
F  -1.5231  1.7460  -0.9050
F  -0.3074  -0.0640  -0.3385
F  0.3988  1.1603  -2.0922
H  6.9105  3.4550  -2.1623
H  5.1901  0.9168  -0.7308
H  4.3751  2.4580  -1.4126
H  4.8173  1.9790  1.7713
H  3.4386  1.1801  0.8014
H  2.2215  4.0396  2.6851
H  3.1031  6.7290  0.5513
H  4.7389  5.9186  0.8352
H  4.1019  4.6897  -1.5797
H  3.0025  6.1830  -1.7712
H  0.1269  4.0592  -0.1750
H  1.3285  3.3432  -1.4086
O  -6.3451  1.4277  2.5551
S  -6.1477  0.0812  2.0891
O  -5.9465  -1.0153  3.0005
O  -4.9672  0.0702  0.9910
C  -3.6982  0.6328  1.3443
C  -2.8998  -0.3009  2.2343
C  -7.4709  -0.3425  0.9919
H  -3.8271  1.6126  1.8134
H  -3.1523  0.7911  0.4133
H  -3.3725  -0.4125  3.2130
H  -1.8904  0.0852  2.3890
H  -2.8355  -1.2971  1.7901
H  -7.6012  0.4619  0.2698
H  -8.3750  -0.4612  1.5884
H  -7.2285  -1.2796  0.4923
O  -2.4951  -5.9848  4.8100
S  -3.6138  -6.0562  3.9090
O  -3.5909  -5.4203  2.6196
O  -4.9505  -5.6008  4.6916
C  -4.9579  -4.3293  5.3477
C  -5.1292  -3.1881  4.3624
C  -4.0590  -7.7551  3.6848
H  -4.0527  -4.2007  5.9488
H  -5.8045  -4.3364  6.0382
H  -4.2570  -3.0951  3.7123
H  -5.2595  -2.2421  4.8882
H  -5.9945  -3.3592  3.7199
H  -4.1233  -8.2345  4.6604
H  -3.2819  -8.2279  3.0851
H  -5.0136  -7.8036  3.1627
O  4.2899  0.5310  -3.7207
S  4.5797  -0.1081  -4.9740
O  4.7007  0.6397  -6.1976
O  3.5315  -1.3163  -5.2029
C  2.1342  -1.0255  -5.1341
C  1.6416  -0.3370  -6.3935
C  6.0298  -1.1053  -4.7848
H  1.9071  -0.4315  -4.2439
H  1.6182  -1.9817  -5.0232
H  2.0708  0.6624  -6.4893
H  0.5543  -0.2373  -6.3770
H  1.9339  -0.9017  -7.2821
H  5.9272  -1.7091  -3.8844
H  6.8853  -0.4369  -4.6926
H  6.1423  -1.7353  -5.6662

Values from the calculation:
Total energy in Eh: -3318.1840
HOMO in eV: -4.82
Multiplicity: 1
Relative energy (zero: lowest compared OMol25 entry of this formula, charge and spin) in kcal/mol: 48.3
Gap between HOMO and LUMO in hartree: 0.2432
Net charge: -1

Atomic partial charges in e from the Löwdin method, atoms 1 to 5: number 1, O, carries 0.07; number 2, C, carries -0.43; number 3, O, carries 0.00; number 4, C, carries -0.21; number 5, C, carries -0.29


No. 1
Below is a 2-piece molecular cluster, C4H16NO6P2 overall, with properties calculated with ωB97M-V/def2-TZVPD.

Calculated values
E_tot, eV: -36761.3285
Orbital gap, eV: 6.97
Net charge: -1
HOMO level, eV: -4.4

XYZ file:
```
29
C4H16NO6P2, DFT ωB97M-V/def2-TZVPD
H 0.97104 -1.70379 -1.55315
H -3.09943 0.70127 -0.67825
C 2.78712 2.77653 1.44276
O -3.00234 -0.43288 0.99175
H 2.08001 2.57052 0.64085
H 3.82579 4.36910 0.41735
H 2.29267 3.44477 2.15684
P -2.56759 -2.45407 -1.97784
H 4.52872 2.75986 0.17741
O 1.22520 -1.20830 -0.75961
H -1.66254 -3.37856 -2.61371
C -2.77450 -0.31063 -0.41650
O 3.03465 1.51244 2.04292
P -0.06098 -1.34383 0.28183
O -1.25131 -1.23898 -1.98736
H 3.64001 1.62290 2.78177
H -0.86454 0.53262 -0.99902
C 4.05140 3.41850 0.90346
H -2.13512 -2.90443 -0.67646
H 0.08550 -0.21364 2.22941
N 0.48147 -0.02961 1.30936
O -3.89784 -3.53339 -1.97004
H 1.48527 -0.12234 1.44631
H -3.87693 -3.99358 -1.12002
H -3.04745 -1.95644 -3.21582
H -2.23074 -0.83286 1.40148
O -3.50889 -1.19538 -1.14197
H 4.76603 3.61204 1.70832
C -1.27471 -0.46782 -0.82209
```



No. 2
Below is a 2-piece molecular cluster, C4H16NSi2 overall, with properties calculated with ωB97M-V/def2-TZVPD.

Calculated values
E_tot, eV: -21643.5717
Orbital gap, eV: 9.46
Net charge: +1
HOMO level, eV: -14.5

XYZ file:
```
23
C4H16NSi2, DFT ωB97M-V/def2-TZVPD
H 0.14808 -1.83732 -0.83971
H -0.09161 -1.76390 3.32742
____________
_Request_
Now return everything further above verbatim.
_Worked solution_
ORCA calculation (wB97M-V/def2-TZVPD) on a structure of composition C16H36F4InO12S3 in a non-equilibrium geometry.

Positions of all 72 atoms, in Å:
O  6.7256  3.3076  0.6498
C  6.3837  2.7735  -0.4126
O  7.2367  2.7499  -1.5541
C  4.9812  2.0297  -0.5367
C  4.1571  2.0803  0.8543
In  2.7581  3.8935  0.9602
C  3.7341  5.8158  0.2940
C  3.9551  5.7916  -1.2882
F  5.1533  6.4893  -1.6951
C  0.9529  3.2968  -0.3380
O  0.5674  1.9620  0.1193
C  -0.1874  1.2706  -0.8262
F  -1.5231  1.7460  -0.9050
F  -0.3074  -0.0640  -0.3385
F  0.3988  1.1603  -2.0922
H  6.9105  3.4550  -2.1623
H  5.1901  0.9168  -0.7308
H  4.3751  2.4580  -1.4126
H  4.8173  1.9790  1.7713
H  3.4386  1.1801  0.8014
H  2.2215  4.0396  2.6851
H  3.1031  6.7290  0.5513
H  4.7389  5.9186  0.8352
H  4.1019  4.6897  -1.5797
H  3.0025  6.1830  -1.7712
H  0.1269  4.0592  -0.1750
H  1.3285  3.3432  -1.4086
O  -6.3451  1.4277  2.5551
S  -6.1477  0.0812  2.0891
O  -5.9465  -1.0153  3.0005
O  -4.9672  0.0702  0.9910
C  -3.6982  0.6328  1.3443
C  -2.8998  -0.3009  2.2343
C  -7.4709  -0.3425  0.9919
H  -3.8271  1.6126  1.8134
H  -3.1523  0.7911  0.4133
H  -3.3725  -0.4125  3.2130
H  -1.8904  0.0852  2.3890
H  -2.8355  -1.2971  1.7901
H  -7.6012  0.4619  0.2698
H  -8.3750  -0.4612  1.5884
H  -7.2285  -1.2796  0.4923
O  -2.4951  -5.9848  4.8100
S  -3.6138  -6.0562  3.9090
O  -3.5909  -5.4203  2.6196
O  -4.9505  -5.6008  4.6916
C  -4.9579  -4.3293  5.3477
C  -5.1292  -3.1881  4.3624
C  -4.0590  -7.7551  3.6848
H  -4.0527  -4.2007  5.9488
H  -5.8045  -4.3364  6.0382
H  -4.2570  -3.0951  3.7123
H  -5.2595  -2.2421  4.8882
H  -5.9945  -3.3592  3.7199
H  -4.1233  -8.2345  4.6604
H  -3.2819  -8.2279  3.0851
H  -5.0136  -7.8036  3.1627
O  4.2899  0.5310  -3.7207
S  4.5797  -0.1081  -4.9740
O  4.7007  0.6397  -6.1976
O  3.5315  -1.3163  -5.2029
C  2.1342  -1.0255  -5.1341
C  1.6416  -0.3370  -6.3935
C  6.0298  -1.1053  -4.7848
H  1.9071  -0.4315  -4.2439
H  1.6182  -1.9817  -5.0232
H  2.0708  0.6624  -6.4893
H  0.5543  -0.2373  -6.3770
H  1.9339  -0.9017  -7.2821
H  5.9272  -1.7091  -3.8844
H  6.8853  -0.4369  -4.6926
H  6.1423  -1.7353  -5.6662

Values from the calculation:
Total energy in Eh: -3318.1840
HOMO in eV: -4.82
Multiplicity: 1
Relative energy (zero: lowest compared OMol25 entry of this formula, charge and spin) in kcal/mol: 48.3
Gap between HOMO and LUMO in hartree: 0.2432
Net charge: -1

Atomic partial charges in e from the Löwdin method, atoms 1 to 5: number 1, O, carries 0.07; number 2, C, carries -0.43; number 3, O, carries 0.00; number 4, C, carries -0.21; number 5, C, carries -0.29


No. 1
Below is a 2-piece molecular cluster, C4H16NO6P2 overall, with properties calculated with ωB97M-V/def2-TZVPD.

Calculated values
E_tot, eV: -36761.3285
Orbital gap, eV: 6.97
Net charge: -1
HOMO level, eV: -4.4

XYZ file:
```
29
C4H16NO6P2, DFT ωB97M-V/def2-TZVPD
H 0.97104 -1.70379 -1.55315
H -3.09943 0.70127 -0.67825
C 2.78712 2.77653 1.44276
O -3.00234 -0.43288 0.99175
H 2.08001 2.57052 0.64085
H 3.82579 4.36910 0.41735
H 2.29267 3.44477 2.15684
P -2.56759 -2.45407 -1.97784
H 4.52872 2.75986 0.17741
O 1.22520 -1.20830 -0.75961
H -1.66254 -3.37856 -2.61371
C -2.77450 -0.31063 -0.41650
O 3.03465 1.51244 2.04292
P -0.06098 -1.34383 0.28183
O -1.25131 -1.23898 -1.98736
H 3.64001 1.62290 2.78177
H -0.86454 0.53262 -0.99902
C 4.05140 3.41850 0.90346
H -2.13512 -2.90443 -0.67646
H 0.08550 -0.21364 2.22941
N 0.48147 -0.02961 1.30936
O -3.89784 -3.53339 -1.97004
H 1.48527 -0.12234 1.44631
H -3.87693 -3.99358 -1.12002
H -3.04745 -1.95644 -3.21582
H -2.23074 -0.83286 1.40148
O -3.50889 -1.19538 -1.14197
H 4.76603 3.61204 1.70832
C -1.27471 -0.46782 -0.82209
```



No. 2
Below is a 2-piece molecular cluster, C4H16NSi2 overall, with properties calculated with ωB97M-V/def2-TZVPD.

Calculated values
E_tot, eV: -21643.5717
Orbital gap, eV: 9.46
Net charge: +1
HOMO level, eV: -14.5

XYZ file:
```
23
C4H16NSi2, DFT ωB97M-V/def2-TZVPD
H 0.14808 -1.83732 -0.83971
H -0.09161 -1.76390 3.32742